Fermi National Laboratory

Accelerator Update

Friday December 19
The day shift began with Operations monitoring store 3103, with the Antiproton Source (Pbar) stacking, and with MiniBooNE taking beam.

At 10:32 AM, Tevatron (TeV) experts began moving the new collimators at sector A48 into the beam.

Recycler experts successfully sent five shots of antiprotons to the Main Injector (MI) from 12:11 PM to 12:41 PM. Pbar resumed stacking.

At 1:18 PM, a Switchyard (SY) expert began a study period.

Operators noticed that the current single-store record for integrated luminosity, set back on July 25, was being broken. At 2 PM it was at 2145 nb-1 and still climbing. It eventually reached 2244 nb-1.

Operations terminated store 3103 at 4 PM. Operators made D-zero (D0) ready for access. Cryo system technicians began work on three wet engines around the TeV.

Cryo techs completed their wet engine work by 5 PM and D0 came out of access at 5:40 PM.

Operations put the TeV through a dry squeeze at 5:54 PM.

At 6:30 PM, Operation established a 12x0 study-store and them began manipulating the A48 collimators.

Operations put the TeV into shot setup at 8 PM.

At 8:04 PM, a Linac quadrupole power supply (QPS511) tripped off. Operators tried to reset the device but could not keep it up and running. Operators called in two Linac techs to investigate a possible ground fault.

Saturday December 20
The midnight shift began with beam off due to a ground fault investigation in Linac, with the TeV in a dry squeeze, and with the Recycler circulating beam.

At 1 AM, the Linac techs reported that L:OPS511 was possibly ground faulted. By 1:22 AM a Linac expert had tuned beam with another unused quad to compensate for the bad quad.

Operators put the TeV back into shot setup at 1:55 AM.

Operations began sending beam to MiniBooNE at 2:35 AM.

Operations established store 3108 at 4:19 AM. Its initial luminosity was 51.79E30; this set another new luminosity record.

_Quantum chemistry results, kept here for reference_
Record 1
The following is a quantum chemistry calculation of an isolated molecule of C22H11ClF3N5O4 at a distorted geometry, from the OMol25 dataset.

Geometry (Å):
N (3.728, -7.338, -6.484)
O (-5.796, 4.074, 5.396)
O (0.460, 3.733, 1.305)
F (-1.254, -1.456, -0.193)
F (-2.939, -0.119, -0.627)
F (-1.111, 0.105, -1.878)
Cl (-3.464, 4.995, 6.914)
N (3.707, -5.020, -5.619)
N (-1.850, 1.199, 1.375)
N (3.707, -6.203, -6.054)
O (-5.541, 1.884, 4.720)
O (1.567, -0.830, -1.435)
C (-5.106, 3.150, 4.974)
C (-0.113, 2.626, 1.306)
C (-1.066, 0.793, 0.382)
C (2.790, 0.764, -2.354)
C (3.090, -0.469, -3.056)
C (1.818, 0.530, -1.428)
C (2.280, -1.397, -2.473)
C (1.305, 1.520, -0.458)
C (0.132, 1.606, 0.332)
C (1.486, -5.122, -2.570)
C (-1.542, 4.405, 5.103)
C (2.189, -5.554, -3.714)
C (1.496, -3.760, -2.158)
C (2.939, -3.318, -4.053)
C (-0.988, 3.742, 3.996)
C (-3.108, 2.797, 3.484)
C (-2.881, 4.209, 5.454)
C (2.921, -4.642, -4.499)
C (2.260, -2.851, -2.896)
C (-3.700, 3.417, 4.611)
C (-1.773, 2.967, 3.137)
N (-1.258, 2.260, 1.997)
C (-1.572, -0.186, -0.614)
H (-4.764, 1.401, 4.415)
H (3.278, 1.705, -2.544)
H (3.778, -0.551, -3.890)
H (2.011, 2.323, -0.271)
H (0.874, -5.856, -2.036)
H (-0.902, 5.109, 5.674)
H (2.103, -6.601, -3.963)
H (0.974, -3.423, -1.272)
H (3.474, -2.671, -4.707)
H (0.071, 3.878, 3.834)
H (-3.713, 2.176, 2.838)

## Properties
relative energy (zero: lowest compared OMol25 entry of this formula, charge and spin): 7.5 kcal/mol
DFT total energy: -59303.81477 eV
HOMO: -8.6 eV
molecular weight: 501.81 g mol⁻¹
frontier orbital gap: 6.71 eV

natural (NBO) population analysis, charges in e, atoms 1 to 8:
1. N -0.04
2. O -0.54
3. O -0.58
4. F -0.32
5. F -0.31
6. F -0.31
7. Cl 0.04
8. N -0.31



Record 2
The following is a quantum chemistry calculation of a structure of composition C22H11N3O6PdS2, from the OMol25 dataset.

Geometry (Å):
Pd (-2.301, 0.514, 0.056)
S (-1.865, 3.216, 0.028)
C (-3.116, 4.218, 0.489)
C (-2.867, 5.620, 0.660)
N (-2.666, 6.744, 0.784)
C (-4.381, 3.658, 0.672)
S (-4.576, 2.019, 0.407)
C (-5.509, 4.449, 1.070)
N (-6.414, 5.076, 1.401)
O (-5.313, -2.314, 0.001)
C (-4.250, -1.739, -0.014)
O (-4.120, -0.442, 0.028)
C (-2.961, -2.526, -0.041)
C (-3.056, -3.911, -0.290)
C (-1.915, -4.641, -0.347)
C (-0.678, -4.008, -0.086)
C (0.541, -4.727, -0.086)
C (1.714, -4.107, 0.222)
C (1.709, -2.739, 0.573)
C (0.548, -2.022, 0.573)
C (-0.675, -2.627, 0.208)
N (-1.836, -1.884, 0.170)
H (-4.040, -4.328, -0.448)
H (-1.933, -5.701, -0.569)
H (0.518, -5.783, -0.327)
H (2.642, -4.662, 0.226)
H (2.633, -2.252, 0.856)
H (0.535, -1.003, 0.913)
O (-0.636, 0.952, -1.271)
C (0.172, 1.057, -0.291)
O (-0.309, 0.968, 0.876)
C (1.609, 1.289, -0.509)
C (2.090, 1.391, -1.807)
C (3.443, 1.628, -2.057)
C (4.256, 1.748, -0.958)
O (5.590, 2.020, -0.931)
C (5.985, 1.886, 0.438)
O (4.797, 1.855, 1.226)
C (3.775, 1.644, 0.340)
C (2.453, 1.421, 0.607)
H (1.398, 1.278, -2.629)
H (3.833, 1.715, -3.061)
H (6.584, 2.748, 0.722)
H (6.530, 0.946, 0.562)

At 6:15 AM, the TeV suffered a six-house quench. The store was lost.

Operators discovered, at 6:40 AM, that the power was out at the TeV sector A0 Kicker building. A TeV expert said that a power loss at A0 would have made all the kickers fire, which would have caused the quenches.

At 7:30 AM, operators made D-zero (D0) ready for an access.

Operators made the TeV transfer hall ready for access at 8:52 AM. Techs will investigate the abort kicker problem.

By 12:58 PM electricians had found and disconnected an unused welding receptacle that had caused the breaker trip. A TeV expert started conditioning the A0 kickers.

Vacuum techs added several vacuum pumps to the TeV sector B area at 1:46 PM to help the slow vacuum recovery.

At 6:30 PM, vacuum techs discovered that the TeV sector B14 cell was saturated with helium, which was why the vacuum wasn't recovering. Operations began warming the cryo system for sector B1.

Vacuum techs intentionally spoiled the B1 vacuum at 9:52 PM.

Sunday December 21
The midnight shift began with TeV sector B14 warming up and with the Recycler storing antiprotons.

At 1:38 AM, the Cryo Coordinator said the B1 house would take about forty hours to reach room temperature. (Later this estimate was raised to seventy hours since the low betas also had to be warmed.)

Operations put the Recycler into shot setup at 1 PM and eventually made nineteen transfers of antiprotons.

Pbar resumed stacking at 4:32 PM.

Monday December 22
The midnight shift began with TeV warm-up underway, with Pbar conducting reverse proton studies, with Switchyard studies, with Recycler storing antiprotons, with D0 in access, and with MiniBooNE taking beam.

At 5:26 AM, Pbar completed their studies and resumed stacking.

Operators turned off beam for MiniBooNE and readied Booster for an access at 7 AM.

Today's Plans
The plan for today and for the next twelve days, or so, is to repair the TeV vacuum leak in sector B. Hopefully, our next store will be early January of next year, 2004.

Accelerator Update Archive

More Information
For Tevatron luminosity charts and the current status of Fermilab's accelerators and detectors (live!), please go to Fermilab Now

Comments and Suggestions
What do you think about the Accelerator Updates? Please send comments and suggestions to: accelupdates@fnal.gov.

last modified 12/22/2003   email Fermilab
